~Pamela Henry
Swept up
In a
Vortex of light
This swirling muse
Infuses each
Thought with
Word pictures take
Form as I
Allow the
Infinite web of
Creation to
Captivate my soul
Wrapped in
A tapestry
Of possibility
New vignettes
Reveal themselves
Unlocking the
Hidden treasure
Golden threads
Weave dreams
Across time
In all directions
The heart of creative
Cracks open
With renewed
Crystal blue awareness
Expands the
The very core of our
Connecting us
To the Universe
And beyond.
This post is “Part Two” in a three part series called “Living The Dream”. “Part One” is focused on gaining clarity about what you would like your ideal life to look and feel like. If you haven’t read “Part One”, I would encourage you to do so before continuing. Click here to read “Part One”.
How did you enjoy the scripting process in “Part One”? Did it provide clarity and build excitement around the infinite possibilities available to you?
Here the piece breaks off for data records.
-- begin --
Structure and calculated powder XRD pattern of LiCo2Cu (a cell relaxed with PBE; Cu Kα (weighted mean of Kα1 and Kα2)).
Intensities are scaled so that the largest is 100.

Principal peaks in the range 2θ from 10° to 80°, in order of rising 2θ:
2θ (°), d (Å), I/Imax
10.2, 8.678, 100
20.5, 4.339, 13
30.9, 2.893, 6
41.6, 2.170, 31
42.4, 2.130, 11
43.7, 2.070, 26
46.3, 1.960, 89
52.3, 1.750, 8
62.0, 1.498, 17
79.3, 1.208, 16

Structural model:
Lattice parameters (Å, degrees): 2.4424 2.4424 8.6783 90.00 90.00 115.89
Element x y z (fractional)
Li 0.0000 0.0000 0.0000
Co 0.5000 0.5000 0.2528
Co 0.5000 0.5000 0.7472
Cu 0.0000 0.0000 0.5000

Structure and calculated powder XRD pattern of Li2NdPb2 (a cell relaxed with PBE; Cu Kα (weighted mean of Kα1 and Kα2)).
Intensities are scaled so that the largest is 100.

Principal peaks in the range 2θ from 10° to 80°, in order of rising 2θ:
2θ (°), d (Å), I/Imax
24.4, 3.644, 40
25.1, 3.554, 39
28.2, 3.166, 100
31.1, 2.875, 53
31.6, 2.830, 82
38.5, 2.339, 59
42.9, 2.107, 22
46.1, 1.968, 30
50.3, 1.814, 28
57.7, 1.597, 23

Structural model:
Lattice parameters (Å, degrees): 4.6775 4.6774 10.9333 90.00 90.01 90.00
Element x y z (fractional)
Li 0.2488 0.2500 0.0000
Li 0.2499 0.7500 0.3635
Li 0.7501 0.2500 0.6365
Li 0.7512 0.7500 0.0000
Nd 0.2498 0.7500 0.7572
Nd 0.7502 0.2500 0.2428
Pb 0.2500 0.2500 0.5000
Pb 0.2512 0.7500 0.1272
Pb 0.7488 0.2500 0.8728
Pb 0.7500 0.7500 0.5000

Structure and calculated powder XRD pattern of MnCrCuAu (a cell relaxed with PBE; Cu Kα (weighted mean of Kα1 and Kα2)).
Intensities are scaled so that the largest is 100.

Principal peaks in the range 2θ from 10° to 80°, in order of rising 2θ:
2θ (°), d (Å), I/Imax
10.7, 8.237, 77
21.6, 4.118, 23
32.6, 2.746, 24
37.3, 2.410, 15
38.9, 2.313, 100
43.5, 2.080, 94
44.0, 2.059, 22
50.4, 1.811, 38
67.3, 1.391, 23
69.1, 1.360, 25

Structural model:
Lattice parameters (Å, degrees): 2.7825 2.7825 8.2369 90.00 90.00 120.00
Element x y z (fractional)
Mn 0.0000 0.0000 0.0000
Cr 0.6667 0.3333 0.8171
Cu 0.0000 0.0000 0.5644
Au 0.3333 0.6667 0.2890

Structure and calculated powder XRD pattern of ErHgPt (a cell relaxed with PBE; Cu Kα (weighted mean of Kα1 and Kα2)).
Intensities are scaled so that the largest is 100.

Principal peaks in the range 2θ from 10° to 80°, in order of rising 2θ:
2θ (°), d (Å), I/Imax
30.5, 2.929, 35
31.0, 2.886, 26
32.7, 2.742, 59
35.2, 2.552, 100
36.6, 2.453, 24
39.2, 2.298, 51
40.3, 2.236, 35
40.9, 2.208, 44
42.0, 2.150, 38
59.9, 1.545, 24

Structural model:
Lattice parameters (Å, degrees): 7.0490 5.4873 7.2391 90.00 107.87 90.00
Element x y z (fractional)
Er 0.1607 0.1347 0.3623
Er 0.1607 0.3653 0.8623
Er 0.8393 0.6347 0.1377
Er 0.8393 0.8653 0.6377
Hg 0.4394 0.5869 0.2890
Hg 0.4394 0.9131 0.7890
Hg 0.5606 0.0869 0.2110
Hg 0.5606 0.4131 0.7110
Pt 0.1552 0.6478 0.5036
Pt 0.1552 0.8522 0.0036
Pt 0.8448 0.1478 0.9964
Pt 0.8448 0.3522 0.4964
-- stop --
In this article you’ll learn how to expand your vision and deepen your vibrational connection to it.
As you become clear about what living the dream means for you, there are a couple of things that could happen.
1. You’ll begin to feel your energy align with your dream. In this instance you’ll feel more joy as you connect with your vision and the knowing that it will show up in your experience. You’ll likely begin attracting the right people and circumstances to move you towards what you’re asking for.
2. You may find yourself feeling misaligned with your dream. In this case you may feel excited about your vision but your underlying emotions may be rooted in limited belief systems or negative thought patterns. These could include feelings of unworthiness, not feeling good enough or any number of beliefs that are no longer serving you.
The greatest gift in getting clear about what you want is that clarity shines a light on where you’re blocking yourself. It’s essential to embrace self honesty and meet your outdated belief systems head on in order to shift your energy into alignment with your dreams. Hanging onto your negative thought patterns only serves to keep you stuck.
I’ve learned that clarity and patience are key. Trust that the Universe will deliver everything that’s to your highest and best good in the right time.
How to immerse yourself in the vibration of what you want.
Use the following River of Light Visualization to expand your vision and help you embody a deeper connection with the feeling of living your dream. The Law of Attraction states that like attracts like. Therefore, if you want to create your ideal life, it’s essential to deliberately align your emotions with the vibration of your dreams.
Whether you’re feeling aligned with your vision or you have limited beliefs to release, the next step is to focus on raising your vibration in alignment with your script. During the visualization you’ll have an opportunity to release any old thought patterns that are no longer serving you. If you prefer to listen to the visualization, a recording is posted below.
River of Light Visualization
- Close your eyes. Tune into your breath. Breathe slowly in through your nose and out through your mouth.
- Feel your feet on the floor and imagine a golden ball of light above your head.
- Notice how your breath deepens as this golden ball pours cleansing light down through the top of your head, flowing down your spine and out through the bottom of your feet into the centre of the earth.
- Now imagine that you’re sitting quietly by a gentle flowing river. You can hear the birds sing, smell your favourite flowers and feel the warm sun on your skin.
- In the distance, by the waters edge, you see a boat. Your heart calls you to take the boat out on the water.
- As you walk towards the boat you notice that what you thought was water is a glowing river of light.
- You resonate in awe as your heart opens to the flow of shimmering radiance.
- You move the boat to the rivers edge and as you get into the boat, it effortlessly merges into the stream of light.
- As you become one with the stream, you are aware that everything around you is moving with ease. Any limited beliefs that you may have been holding onto are dissolving into the light.
- You feel a sense of relief as you melt into the essence of pure light, allowing it to penetrate every cell of your body and being.
- You drop deeper into your heart space as the golden light swirls around you.
- As you continue to immerse yourself in this vibrational flow, place your focus on your script. Imagine the detail. What does it look like, feel like, taste like and sound like to be living your dream. Embody these sensations.
- Allow your script to resonate in these high frequencies of love and light, being mindful of any new information that your inner wisdom may bring forth at this time.
- As you focus your intention on manifesting your dream, you now become aware that your ideal life is expanding with the light.
- You continue to feel this expansion as it carries you effortlessly downstream towards the realization of your vision. You’re completely immersed in the brilliance of creating your ideal life.
- Marinate in this vibration for as long as you like. This is the vibration of your dream fulfilled.
- When you’re ready, slowly come back into the room you’re in and open your eyes.
River of Light Visualization audio
As soon as you come out of the visualization, take a few minutes to reflect on your experience and record any new thoughts or feelings in your script. Pay attention to how you feel in your body, mind and spirit. Do you feel more connected to living the dream? Have your limited beliefs shifted? Do you feel lighter?
Getting into the feeling place requires that you get out of your head and into your heart. Your heart is where all your answers reside. It’s in connecting with your heart and your inner knowing that your vibration raises and your dreams manifest.
Next week in “Part Three” of “Living The Dream”, we’ll look at goal setting and how your inner wisdom is essential to creating an action plan that works for you.
How did the River of Light Visualization expand your script? Please let me know by sharing in the comments below or head over to my Facebook page.
Thank you for joining me!
With love and gratitude,
Please note: I reserve the right to delete comments that are offensive or off-topic.